Please say how many lines of the data further down hold the word "kcal", as a bare number.

Formula: C43H70N5P2PtSi
Source: the OMol25 dataset
Level of theory: ωB97M-V/def2-TZVPD

```
! RIJCOSX wB97M-V def2-TZVPD def2/J DEFGRID3
* xyz 1 1
Pt -0.100 0.000 0.088
C 3.240 -1.420 0.398
Si 1.519 -1.231 1.119
C 1.821 -0.457 2.823
C 3.012 -0.634 3.531
C 3.236 0.021 4.735
C 2.265 0.865 5.252
C 1.065 1.038 4.575
C 0.844 0.383 3.368
P -0.663 0.492 2.347
C -1.508 2.075 2.727
C -2.206 2.211 4.103
C -2.226 3.669 4.576
C -2.529 4.595 3.403
C -1.377 4.573 2.381
C -0.580 3.263 2.449
C -1.744 -0.874 2.969
C -3.237 -0.663 2.586
C -4.174 -0.950 3.758
C -3.907 -2.333 4.351
C -2.412 -2.542 4.686
C -1.576 -1.287 4.434
C 0.762 -2.930 1.316
C 1.216 -3.833 2.280
C 0.666 -5.099 2.388
C -0.322 -5.491 1.495
C -0.771 -4.612 0.523
C -0.260 -3.313 0.442
P -0.762 -2.040 -0.801
C -0.120 -2.611 -2.454
C 1.366 -2.350 -2.710
C 2.287 -3.491 -2.283
C 1.877 -4.791 -2.961
C 0.456 -5.146 -2.550
C -0.523 -4.031 -2.921
C -2.601 -2.199 -1.181
C -3.457 -3.049 -0.214
C -4.942 -2.657 -0.231
C -5.362 -2.253 -1.636
C -4.649 -0.955 -2.025
C -3.266 -0.834 -1.365
H 3.686 -2.322 0.827
H 3.877 -0.574 0.661
H 3.261 -1.535 -0.682
H 3.790 -1.276 3.133
H 4.173 -0.115 5.259
H 2.439 1.390 6.182
H 0.319 1.697 4.999
H -2.297 2.123 1.964
H -1.744 1.577 4.857
H -3.235 1.860 4.002
H -1.260 3.939 5.016
H -2.967 3.785 5.367
H -2.710 5.613 3.744
H -3.457 4.260 2.929
H -0.699 5.410 2.562
H -1.777 4.715 1.373
H 0.179 3.320 3.231
H -0.030 3.097 1.520
H -1.374 -1.721 2.386
H -3.492 -1.340 1.769
H -3.429 0.346 2.209
H -5.211 -0.880 3.422
H -4.049 -0.187 4.529
H -4.238 -3.092 3.637
H -4.520 -2.467 5.243
H -1.998 -3.344 4.067
H -2.292 -2.861 5.722
H -0.526 -1.501 4.638
H -1.872 -0.486 5.115
H 2.001 -3.536 2.968
H 1.013 -5.783 3.151
H -0.741 -6.487 1.551
H -1.507 -4.960 -0.182
H -0.672 -1.898 -3.084
H 1.643 -1.414 -2.231
H 1.498 -2.198 -3.787
H 2.247 -3.631 -1.198
H 3.320 -3.236 -2.533
H 2.565 -5.596 -2.700
H 1.928 -4.666 -4.049
H 0.444 -5.332 -1.477
H 0.132 -6.070 -3.034
H -1.528 -4.290 -2.581
H -0.581 -3.998 -4.015
H -2.605 -2.662 -2.168
H -3.068 -2.980 0.803
H -3.387 -4.098 -0.503
H -5.131 -1.829 0.460
H -5.536 -3.498 0.130
H -6.443 -2.126 -1.704
H -5.100 -3.056 -2.331
H -5.259 -0.101 -1.720
H -4.544 -0.889 -3.110
H -3.351 -0.367 -0.379
H -2.624 -0.201 -1.978
C 2.456 2.164 0.332
N 3.543 2.989 -0.167
C 2.971 4.217 -0.722
N 2.031 3.936 -1.814
C 0.969 3.091 -1.298
N 1.469 1.818 -0.730
C 2.233 1.137 -1.820
N 3.315 1.952 -2.346
C 4.227 2.271 -1.244
C 2.749 3.199 -2.859
H 1.939 2.702 1.127
H 2.853 1.239 0.749
H 3.775 4.845 -1.105
H 2.448 4.758 0.069
H 0.272 2.862 -2.107
H 0.444 3.644 -0.513
H 1.534 0.890 -2.621
H 2.645 0.220 -1.411
H 5.043 2.888 -1.622
H 4.645 1.344 -0.848
H 2.060 2.971 -3.674
H 3.551 3.828 -3.246
N -1.660 1.571 -0.605
H -1.416 2.442 -0.148
H -2.591 1.311 -0.299
H -1.718 1.752 -1.600
*
```

Output
Strongest force on any atom   0.878 eV Å⁻¹
Energy relative to the best compared isomer or geometry (same formula, charge and spin)   3.8 kcal per mole
Orbital gap   0.2847 hartree
Electronic energy   -3045.74492 a.u.
Highest occupied orbital energy   -9.914 eV



Formula: C43H70NO17P2S
Source: the OMol25 dataset
Level of theory: ωB97M-V/def2-TZVPD

```
! RIJCOSX wB97M-V def2-TZVPD def2/J DEFGRID3
* xyz -1 1
C -0.546 -3.890 0.602
C -2.111 -4.206 0.404
C -2.303 -4.949 -0.975
P -2.689 -3.729 -2.421
O -1.727 -4.770 -3.468
C -1.081 -3.906 -4.435
C -0.377 -4.695 -5.603
C 1.202 -4.727 -5.495
C 1.853 -3.276 -5.538
N 3.093 -3.215 -6.347
C 4.029 -2.170 -5.873
C 3.401 -0.719 -5.843
C 2.338 -0.303 -6.775
C 1.706 1.008 -6.759
C 2.178 1.972 -5.761
C 3.258 1.607 -4.835
C 3.880 0.269 -4.857
O 4.905 -0.088 -3.949
C -2.282 -2.928 -4.871
P -1.544 -1.333 -5.578
S -0.427 -0.522 -4.196
O -2.975 -2.514 -3.687
H -0.462 -2.771 0.676
H 0.080 -4.325 -0.215
H -0.222 -4.369 1.565
H -2.409 -4.941 1.212
H -2.730 -3.281 0.516
H -3.156 -5.680 -0.895
H -1.378 -5.502 -1.297
H -3.972 -4.331 -2.750
H -3.472 -2.918 -1.482
H -1.604 -2.864 -2.018
H -0.303 -3.418 -3.780
H -0.738 -5.761 -5.548
H -0.675 -4.197 -6.574

1